Understanding the Signs and Symptoms Of Afib
Someone can have atrial fibrillation yet show no signs. One of the common signs that actual fibrillation patients face is experiencing a fluttering feeling in the chest, which is also referred to as a palpitation. Other common symptoms of this condition are feeling tired, having short breath, chest pain, dizziness, fatigue, and sometimes losing consciousness. The reason why some patients experience symptoms while others do not is not established. The symptoms are related to having a speedier heartbeat in most patients. However, you can still get some patients experiencing symptoms even when their heart rate is not fast. Some patients experience symptoms when the heart beats too slowly during atrial fibrillation. The most common sign of atrial fibrillation is an irregular pulse, which is confirmed by listening to the heart using a stethoscope when a patient goes for physical examination.
You could be experiencing symptoms of virtual fibrillation during episodes that come and then go. It is vital to get immediate medical attention if you experience any or all the symptoms of atrial fibrillation at any point. The condition in itself cannot represent an immediate danger to one’s life, and many people have lived with the condition for many decades. That said, the condition can cause severe complications in one’s body. The serious complications include suffering a stroke or heart failure.
/*
For LiHg4, DFT lattice parameters and positions (GGA-PBE) gives the theoretical PXRD pattern in this record (Cu Kα, 1.54184 Å).
Neutral-atom scattering factors, no anomalous dispersion.

Most intense lines, 2θ from 5° to 70°, low angle first:
- 28.07°, rel. 49, hkl 0 0 2
- 28.28°, rel. 52, hkl 2 0 0
- 34.78°, rel. 100, hkl 2 1 1
- 40.27°, rel. 40, hkl 2 0 2
- 40.42°, rel. 11, hkl 2 2 0
- 49.94°, rel. 11, hkl 2 2 2
- 54.12°, rel. 26, hkl 2 1 3
- 54.31°, rel. 13, hkl 3 1 2
- 62.41°, rel. 47, hkl 4 1 1
- 69.81°, rel. 11, hkl 3 3 2

```
LiHg4
1.0
6.3113 0.0000 0.0000
0.0000 6.3113 0.0000
0.0000 0.0000 6.3571
Li Hg
2 8
Direct
0.2500 0.2500 0.0000
0.7500 0.7500 0.0000
0.0614 0.5614 0.2693
0.0614 0.9386 0.7307
0.4386 0.5614 0.7307
0.4386 0.9386 0.2693
0.5614 0.0614 0.7307
0.5614 0.4386 0.2693
0.9386 0.0614 0.2693
0.9386 0.4386 0.7307
```

=====

# Y2ScRe
Calculated XRD peak list, λ = 1.5418 Å (Cu Kα). Input: a GGA-PBE-relaxed structure.
No peak broadening, texture or thermal motion is included.

Largest 10 diffraction maxima, in order of rising 2θ, 2θ from 15° to 90°:
| 2θ (°) | I_rel |
| --- | --- |
| 20.3 | 21 |
| 26.3 | 13 |
| 33.5 | 100 |
| 37.6 | 47 |
| 40.8 | 24 |
| 43.1 | 12 |
| 49.6 | 17 |
| 54.2 | 16 |
| 65.2 | 28 |
| 76.5 | 16 |

```
data_Y2ScRe
_cell_length_a 3.384
_cell_length_b 3.384
_cell_length_c 8.757
_cell_angle_alpha 90.00
_cell_angle_beta 90.00
_cell_angle_gamma 90.00
_space_group_name_H-M_alt 'P 1'
_space_group_IT_number 1
loop_
_space_group_symop_operation_xyz
'x,y,z'
loop_
_atom_site_label
_atom_site_fract_x
_atom_site_fract_y
_atom_site_fract_z
_atom_site_occupancy
Y1 0.000 0.000 0.000 1
Y2 0.500 0.500 0.338 1
Sc1 0.500 0.500 0.703 1
Re1 0.000 0.000 0.539 1
```

---

# ZrSc4Re
Calculated XRD peak list, λ = 1.5418 Å (Cu Kα). Input: a GGA-PBE-relaxed structure.
No peak broadening, texture or thermal motion is included.

Largest 10 diffraction maxima, in order of rising 2θ, 2θ from 15° to 90°:
| 2θ (°) | I_rel |
| --- | --- |
| 19.3 | 30 |
| 31.8 | 70 |
| 37.5 | 100 |
| 39.3 | 14 |
| 50.0 | 8 |
| 56.7 | 27 |
| 60.5 | 32 |
| 66.5 | 21 |
| 75.7 | 12 |
| 79.0 | 11 |

```
data_ZrSc4Re
_cell_length_a 5.622
_cell_length_b 5.622
_cell_length_c 5.622
_cell_angle_alpha 60.00
_cell_angle_beta 60.00
_cell_angle_gamma 60.00
_space_group_name_H-M_alt 'P 1'
_space_group_IT_number 1
loop_
_space_group_symop_operation_xyz
'x,y,z'
loop_
_atom_site_label
_atom_site_fract_x
_atom_site_fract_y
_atom_site_fract_z
_atom_site_occupancy
Zr1 0.000 0.000 0.000 1
Sc1 0.376 0.376 0.376 1
Sc2 0.376 0.376 0.872 1
Sc3 0.376 0.872 0.376 1
Sc4 0.872 0.376 0.376 1
Re1 0.750 0.750 0.750 1
```

---

# ReSe5
Calculated XRD peak list, λ = 1.5418 Å (Cu Kα). Input: a GGA-PBE-relaxed structure.
No peak broadening, texture or thermal motion is included.

Largest 10 diffraction maxima, in order of rising 2θ, 2θ from 15° to 90°:
| 2θ (°) | I_rel |
| --- | --- |
| 33.4 | 100 |
| 35.9 | 27 |
| 37.9 | 22 |
| 38.1 | 40 |
| 38.6 | 28 |
| 39.6 | 18 |
| 40.5 | 18 |
| 42.7 | 54 |
*/
(Back to the article)
Stroke is one of the widely experienced complications of atrial fibrillation. 5% of patients with atrial fibrillation experience stroke every year. In comparison to people without atrial fibrillation, people with atrial fibrillation have five times increased risk of experiencing a stroke. A stroke usually occurs when a blood vessel in the brain either starts bleeding or gets blocked. The more common strokes are those caused by blockage as opposed to those as a result of bleeding. The level of symptoms that you will experience due to the stroke will depend on the particular brain part that is involved. Some of the signs you may experience if you have a stroke are experiencing strange sensations on one side of your body, numbness, especially on one side, having trouble understanding other people are communicating with them, severe headaches, severe dizziness, difficulty in swallowing, and having trouble walking or staying balanced. If you experience any of the signs, you should see a doctor immediately, even if the signs go away after a while.
A patient with long-standing atrial fibrillation may also experience heart failure when the heart cannot pump enough blood to the body organs and tissues.